Next, work out how many lines further down have the word "first" in them; a number is enough.
____________
one.
Below is a geometry-optimized YCuP2O structure, with properties calculated at the PBE level.

DOS at the Fermi energy ... 1.2143 states/eV/atom
Total magnetic moment ... 0.0 μB per formula unit

abc: 5.432 5.432 4.120
angles: 90.00 90.00 90.00
Fractional positions:
Y 0.000 0.000 0.000
Cu 0.500 0.500 0.500
P 0.000 0.500 0.000
P 0.500 0.000 0.000
O 0.000 0.000 0.500

---

two.
Below is a geometry-optimized YCuP2O structure, with properties calculated at the PBE level.

DOS at the Fermi energy ... 0.7849 states/eV/atom
Total magnetic moment ... 0.0 μB per formula unit

abc: 4.594 4.594 3.875
angles: 90.00 90.00 90.00
Fractional positions:
Y 0.000 0.000 0.000
Cu 0.500 0.500 0.500
P 0.000 0.500 0.500
P 0.500 0.000 0.500
O 0.500 0.500 0.000

---

Ranked by calculated energy, most stable first: two, one.

---

one.
Below is a geometry-optimized YCuPO2 structure, with properties calculated at the PBE level.

DOS at the Fermi energy ... 0.6355 states/eV/atom
Total magnetic moment ... 1.9 μB per formula unit

abc: 4.187 4.187 6.057
angles: 90.00 90.00 90.00
Fractional positions:
Y 0.000 0.000 0.000
Cu 0.500 0.500 0.500
P 0.000 0.000 0.500
O 0.000 0.500 0.000
O 0.500 0.000 0.000

---

two.
Below is a geometry-optimized YCuPO2 structure, with properties calculated at the PBE level.

DOS at the Fermi energy ... 0.6385 states/eV/atom
Total magnetic moment ... 0.0 μB per formula unit

abc: 3.972 3.972 4.397
angles: 90.00 90.00 90.00
Fractional positions:
Y 0.000 0.000 0.000
Cu 0.500 0.500 0.500
P 0.500 0.500 0.000
O 0.000 0.500 0.500
O 0.500 0.000 0.500

---

Ranked by calculated energy, most stable first: two, one.

---

one.
Below is a geometry-optimized ZnCuP2O7 structure, with properties calculated at the PBE level.

DOS at the Fermi energy ... 0.0009 states/eV/atom
Total magnetic moment ... 1.0 μB per formula unit

abc: 5.433 6.382 7.648
angles: 81.06 89.06 71.94
Fractional positions:
Zn 0.170 0.341 0.358
Zn 0.830 0.659 0.642
Cu 0.220 0.843 0.825
Cu 0.780 0.157 0.175
P 0.277 0.801 0.381
P 0.322 0.311 0.906
P 0.678 0.689 0.094
P 0.723 0.199 0.619
O 0.106 0.047 0.322
O 0.108 0.649 0.427
O 0.144 0.549 0.831
O 0.196 0.134 0.889
O 0.418 0.725 0.205
O 0.419 0.303 0.097
O 0.469 0.785 0.527
O 0.531 0.215 0.473
O 0.581 0.697 0.903
O 0.582 0.275 0.795
O 0.804 0.866 0.111
O 0.856 0.451 0.169
O 0.892 0.351 0.573
O 0.894 0.953 0.678

---

two.
Below is a geometry-optimized ZnCuP2O7 structure, with properties calculated at the PBE level.

Total magnetic moment ... 1.0 μB per formula unit

abc: 5.390 5.390 4.617
angles: 101.61 101.61 100.80
Fractional positions:
Zn 0.000 0.000 0.000
Cu 0.621 0.379 0.000
P 0.110 0.482 0.591
P 0.518 0.890 0.409
O 0.253 0.320 0.775
O 0.328 0.672 0.500
O 0.363 0.043 0.230
O 0.680 0.747 0.225
O 0.690 0.071 0.718
O 0.929 0.310 0.282
O 0.957 0.637 0.770

---

Ranked by calculated energy, most stable first: one, two.

---

one.
Below is a geometry-optimized ZnCuP2O structure, with properties calculated at the PBE level.

DOS at the Fermi energy ... 0.4827 states/eV/atom
Total magnetic moment ... 0.0 μB per formula unit

abc: 4.860 4.860 3.500
angles: 90.00 90.00 90.00
Fractional positions:
Zn 0.000 0.000 0.000
Cu 0.500 0.500 0.500
P 0.000 0.500 0.000
P 0.500 0.000 0.000
O 0.000 0.000 0.500

---

two.
Below is a geometry-optimized ZnCuP2O structure, with properties calculated at the PBE level.

DOS at the Fermi energy ... 0.5892 states/eV/atom
Total magnetic moment ... 0.0 μB per formula unit

abc: 4.747 4.747 3.497
angles: 90.00 90.00 90.00
Fractional positions:
Zn 0.000 0.000 0.000
Cu 0.500 0.500 0.500
P 0.000 0.500 0.500
P 0.500 0.000 0.500
O 0.500 0.500 0.000

---

Ranked by calculated energy, most stable first: two, one.

=====

Ac2Pu2Ni15 | PBE-GGA | optimized geometry

Computed properties:
- Formation energy from the elements: -0.11 eV per atom
- Total DFT energy (no corrections): -125.7 eV/cell
- Space-group type: No. 166
- Volume: 14.4 Å³ per atom
____________
4